Contents
~~~
DFT (wB97M-V/def2-TZVPD) results for a 14-piece molecular cluster, C72H166N6O14 overall at a distorted geometry.

Computed properties:
* strongest force on any atom: 4.07 eV/A
* HOMO-LUMO gap: 7.507 eV

Last column: Mulliken charge in e.
Cartesian coordinates (Å):
O  16.112249  -12.088876  24.864273  -0.183
H  16.046834  -11.579058  24.056788  0.023
H  15.504558  -11.661478  25.467827  0.229
O  20.462805  -11.966829  18.655324  -0.478
H  20.934589  -12.473996  19.315961  0.020
H  20.980166  -12.072598  17.856956  0.171
C  26.417528  -16.861629  31.032090  -1.589
C  24.973402  -16.640819  31.423964  1.423
C  24.891430  -15.179816  31.979607  -1.409
C  24.700245  -14.075994  30.876890  -0.952
C  23.573827  -14.518156  30.003728  -1.203
C  23.812740  -15.914287  29.266364  2.272
N  23.992992  -16.940152  30.354811  0.178
O  24.147370  -18.189894  29.800879  -0.507
C  22.348609  -16.139876  28.538905  -1.646
C  24.911927  -15.970595  28.176478  -1.937
C  24.688282  -17.553388  32.688897  -1.872
H  26.660516  -16.109368  30.281649  0.333
H  26.560842  -17.872718  30.650977  0.336
H  27.042565  -16.776045  31.920972  0.473
H  24.179792  -15.087965  32.800119  0.439
H  25.780984  -15.020403  32.589005  0.500
H  25.631413  -13.839777  30.361875  0.419
H  24.443889  -13.115980  31.324941  0.406
H  23.396374  -13.787862  29.214247  0.221
H  22.692779  -14.533216  30.645309  0.439
H  21.859377  -16.606316  29.393995  0.478
H  21.875969  -15.197019  28.263713  -0.225
H  22.329497  -16.787143  27.662100  0.382
H  24.483173  -15.534737  27.274089  0.512
H  25.825041  -15.426105  28.417016  0.337
H  25.118010  -17.008872  27.916437  0.485
H  23.690200  -17.453592  33.115486  0.445
H  25.400612  -17.415155  33.502274  0.386
H  24.653531  -18.608787  32.418674  0.381
H  23.227543  -18.425719  29.659780  0.409
C  22.863618  -8.565183  26.757260  -1.762
C  21.920779  -9.890413  26.833538  1.890
C  22.091680  -10.387617  28.306893  -1.799
C  21.147177  -11.415534  28.857212  0.590
C  19.819245  -10.778353  28.613416  -2.384
C  19.369183  -10.350199  27.278993  2.223
N  20.416920  -9.613332  26.657667  -0.241
O  20.077561  -8.968367  25.438837  0.142
C  19.114220  -11.630457  26.453210  -1.643
C  18.015521  -9.535603  27.283587  -1.752
C  22.545855  -10.949519  25.883137  -0.982
H  22.888555  -8.230763  25.720135  0.219
H  23.836080  -8.939520  27.077101  0.432
H  22.388582  -7.809374  27.382711  0.478
H  23.056580  -10.873458  28.451913  0.553
H  22.025179  -9.556597  29.009083  0.477
H  21.233181  -11.645902  29.919108  0.655
H  21.089328  -12.423825  28.447192  -0.621
H  19.768168  -10.002799  29.377615  0.374
H  19.034853  -11.428737  29.000498  0.522
H  19.000133  -11.410110  25.391829  0.331
H  20.004730  -12.254581  26.378573  0.175
H  18.296007  -12.228469  26.854479  0.576
H  17.926053  -8.606861  27.847081  0.372
H  17.688857  -9.332659  26.263677  0.216
H  17.349303  -10.336746  27.603604  0.422
H  21.790515  -11.265168  25.163459  -0.125
H  22.902326  -11.865436  26.354428  0.143
H  23.314740  -10.467706  25.279168  0.172
H  20.090681  -8.043805  25.696935  0.281
C  14.518876  -17.066109  25.704816  -1.818
C  15.868919  -17.309401  26.460963  0.977
C  16.391874  -18.691039  26.124727  -0.970
C  17.876418  -18.874256  26.581364  -1.129
C  18.809059  -17.823858  26.079454  -0.702
C  18.293816  -16.291532  26.196471  2.430
N  16.802473  -16.262717  25.977163  1.137
O  16.304197  -14.990846  26.077195  -0.684
C  18.772943  -15.652040  27.459389  -1.432
C  18.939149  -15.513672  25.023532  -2.278
C  15.667521  -17.135816  27.961575  -1.756
H  13.796431  -17.875902  25.806819  0.432
H  14.642199  -17.061004  24.621822  0.390
H  13.960021  -16.140482  25.842610  0.363
H  15.821272  -19.495906  26.588084  0.462
H  16.230004  -18.869552  25.061701  0.280
H  18.205538  -19.909109  26.487336  0.480
H  17.918414  -18.828852  27.669608  0.405
H  19.173080  -18.125001  25.097165  0.349
H  19.674527  -17.801785  26.741709  0.205
~~~
Assignment
Please quote the part of the listing above that starts with the line with "0.500" and stops after the one with "-12.254581".
Done
H  25.780984  -15.020403  32.589005  0.500
H  25.631413  -13.839777  30.361875  0.419
H  24.443889  -13.115980  31.324941  0.406
H  23.396374  -13.787862  29.214247  0.221
H  22.692779  -14.533216  30.645309  0.439
H  21.859377  -16.606316  29.393995  0.478
H  21.875969  -15.197019  28.263713  -0.225
H  22.329497  -16.787143  27.662100  0.382
H  24.483173  -15.534737  27.274089  0.512
H  25.825041  -15.426105  28.417016  0.337
H  25.118010  -17.008872  27.916437  0.485
H  23.690200  -17.453592  33.115486  0.445
H  25.400612  -17.415155  33.502274  0.386
H  24.653531  -18.608787  32.418674  0.381
H  23.227543  -18.425719  29.659780  0.409
C  22.863618  -8.565183  26.757260  -1.762
C  21.920779  -9.890413  26.833538  1.890
C  22.091680  -10.387617  28.306893  -1.799
C  21.147177  -11.415534  28.857212  0.590
C  19.819245  -10.778353  28.613416  -2.384
C  19.369183  -10.350199  27.278993  2.223
N  20.416920  -9.613332  26.657667  -0.241
O  20.077561  -8.968367  25.438837  0.142
C  19.114220  -11.630457  26.453210  -1.643
C  18.015521  -9.535603  27.283587  -1.752
C  22.545855  -10.949519  25.883137  -0.982
H  22.888555  -8.230763  25.720135  0.219
H  23.836080  -8.939520  27.077101  0.432
H  22.388582  -7.809374  27.382711  0.478
H  23.056580  -10.873458  28.451913  0.553
H  22.025179  -9.556597  29.009083  0.477
H  21.233181  -11.645902  29.919108  0.655
H  21.089328  -12.423825  28.447192  -0.621
H  19.768168  -10.002799  29.377615  0.374
H  19.034853  -11.428737  29.000498  0.522
H  19.000133  -11.410110  25.391829  0.331
H  20.004730  -12.254581  26.378573  0.175